There was something interesting I was going to mention.

But I forgot what it was. Perhaps it’s my weird new eating habits at work. Instead of beating the crowds by eating early, I’ve been eating late at 1PM. And there’s only two grades for the food, better or worse than Boy Scout food. So far, they’ve done OK. Not great, since it’s not really hot food but steam-tray food, but it’s OK.

Other than that, I can’t think of much. Oh, yeah, there’s this thin woman at the gym who is kind of cute and kind of too thin, actually. I saw her drive up in a big fancy Audi that made her look tiny. I walked by her today and she smelled like a sweaty dude. I wonder…

More sister gossip.

OK, so this is more brother-in-law gossip. Last weekend I fixed the phone for his “office” upstairs and he came up with this plan to communicate to my sister between floors: he’d stomp three times and then they’d both pick up the phone and yell over the dialtone. Yeesh. So I told my sister I could hook up some intercoms or something or — even better — they could use their free mobile-to-mobile minutes on their cell phones. Double yeesh.

I was shamed into going back to the gym today even though I was sick from work yesterday. My trainer is off at a conference for the rest of the week, so I met with him as well. I think we both decided that one of the reasons for our attendance at the gym was to watch certain women work out. No surprise to either of us, really. He still made me do weird arm exercises that caused weird muscle pain. I guess I wasn’t just faking this cold thing after all.

Next to the entry, the page also holds materials data.
/*
For LaMo2O8, DFT lattice parameters and positions (PBE+U) gives the simulated PXRD pattern in this record (copper Kα).
No peak broadening, texture or thermal motion is included.

Crystal structure
```
LaMo2O8
1.0
-2.4357 2.4357 5.8887
2.4357 -2.4357 5.8887
2.4357 2.4357 -5.8887
La Mo O
1 2 8
Cartesian
0.0000 0.0000 0.0000 La
2.4357 0.0000 2.9443 Mo
0.0000 2.4357 2.9443 Mo
3.5774 1.1410 -1.7676 O
1.1410 1.2940 -1.7676 O
1.2940 1.1410 1.7676 O
1.2947 -1.1417 7.6563 O
1.2947 1.1417 4.1211 O
-1.1417 1.2947 4.1211 O
1.1410 3.5774 1.7676 O
1.1417 1.2947 7.6563 O
```

Peak list (6 most intense, 2θ from 10° to 90°, by angle)
2θ = 19.72°, I 48; 2θ = 29.22°, I 18; 2θ = 30.06°, I 100; 2θ = 48.51°, I 42; 2θ = 53.75°, I 19; 2θ = 62.30°, I 24


# La2ReB5Os2
Computed X-ray powder pattern, Cu Ka. Input: a crystal structure in OQMD, relaxed with GGA-PBE.
No peak broadening, texture or thermal motion is included.

Structure:
Cell lengths 5.7867, 5.7867, 8.1413 Å; angles 122.86, 122.86, 41.68 degrees
Atoms (fractional coordinates):
La (0.1660, 0.1660, 0.2607)
La (0.8340, 0.8340, 0.7393)
Re (0.7769, 0.2231, 0.5000)
B (0.1426, 0.1453, 0.8135)
B (0.2443, 0.7028, 0.3797)
B (0.2972, 0.7557, 0.6203)
B (0.5041, 0.4959, 0.0000)
B (0.8547, 0.8574, 0.1865)
Os (0.3798, 0.3557, 0.0952)
Os (0.6443, 0.6202, 0.9048)

Principal peaks in the range 2θ from 10° to 90°, sorted by position:
2θ = 16.48°, rel. 19.6
2θ = 30.24°, rel. 100.0
2θ = 33.17°, rel. 53.7
2θ = 33.30°, rel. 36.5
2θ = 34.35°, rel. 65.3
2θ = 34.68°, rel. 36.7
2θ = 40.62°, rel. 23.3
2θ = 42.61°, rel. 22.0
2θ = 46.17°, rel. 17.6
2θ = 54.81°, rel. 16.9


# TaAg3O4
Computed X-ray powder pattern, Cu Ka. Input: a crystal structure in OQMD, relaxed with GGA-PBE.
No peak broadening, texture or thermal motion is included.

Structure:
Cell lengths 5.6522, 5.6522, 10.4567 Å; angles 112.16, 112.16, 53.40 degrees
Atoms (fractional coordinates):
Ta (0.0398, 0.9602, 0.7500)
Ta (0.9602, 0.0398, 0.2500)
Ag (0.1864, 0.2859, 0.5920)
Ag (0.2859, 0.1864, 0.0920)
Ag (0.5000, 0.5000, 0.0000)
Ag (0.5000, 0.5000, 0.5000)
Ag (0.7141, 0.8136, 0.9080)
Ag (0.8136, 0.7141, 0.4080)
O (0.0818, 0.7248, 0.0940)
O (0.1196, 0.6160, 0.7878)
O (0.2752, 0.9182, 0.4060)
O (0.3840, 0.8804, 0.7122)
O (0.6160, 0.1196, 0.2878)
O (0.7248, 0.0818, 0.5940)
O (0.8804, 0.3840, 0.2122)
O (0.9182, 0.2752, 0.9060)

Principal peaks in the range 2θ from 10° to 90°, sorted by position:
2θ = 19.99°, rel. 10.3
2θ = 30.26°, rel. 98.0
2θ = 32.57°, rel. 100.0
2θ = 34.50°, rel. 27.4
2θ = 35.34°, rel. 24.1
2θ = 39.37°, rel. 22.5
2θ = 50.24°, rel. 33.8
2θ = 53.93°, rel. 20.5
2θ = 56.27°, rel. 12.0
2θ = 57.80°, rel. 10.3


# Y2TmZn3Pt3
Computed X-ray powder pattern, Cu Ka. Input: a crystal structure in OQMD, relaxed with GGA-PBE.
No peak broadening, texture or thermal motion is included.

Structure:
Cell lengths 3.8916, 7.2307, 7.2307 Å; angles 119.67, 90.00, 90.00 degrees
Atoms (fractional coordinates):
Y (0.0000, 0.2025, 0.7975)
Y (0.0000, 0.7975, 0.2025)
*/

Caught a cold.

I can’t believe I slept all day and only had one dream I can remember. All I remember is waking up with nobody else in the house and all the lights being out. I walked around trying to find a flashlight so I could fix the blown fuse and when I woke up I thought I was still trying to fix the lights.

 All day and that’s all I have to report.

Exciting lives.

My sister was saying her friends went out to an art gallery opening, and another friend went to see some live music, but she had a headache and went to bed early. Well, I stayed up late taking megacorp training last night, so do I have her beat?

I spent most of the day wiring up a couple of phones in her house. I’m not sure what took so long, but I guess I did go out furniture shopping with them rather than work all the way through.

In the evening I had a call from an ex-girlfriend. I’m sure there are exciting stories that could be told by others when they get calls from their ex-girlfriends, but for me it’s usually about fixing her computer. I think she has someone else fixing her computer now, so this time it was a social call. She dragged me to a goth book reading where I was one of the few not wearing black. In fact, if I could have dressed up as, “Hello, Kitty” I think I would have. (And before you ask, no, I’m not into “that sort of thing.”)

Before the book reading we met at a restaurant and she gave me directions that were not only off by three blocks but had me walking in the wrong direction after parking. I’d already eaten so I just had a great Pot de Creme. I stole a glance at the menu and a cheeseburger is $12. She told me it was a good hamburger, and it better be for $12.

So, there you have it. The most exciting nights of the week (Friday and Saturday night) and not much to show for it except an email from megacorp HR confirming my completion of my online training.Â